Could you copy every line below that contains the word "at"?
DFT (meta-GGA SCAN) results for a crystal of CaInTc2Pb relaxed with PBEsol.

Summary:
crystal system	tetragonal
total magnetization	3.804	μB per cell
calculated formation energy	1389.8	meV/atom
final energy	-182.0	eV for the cell shown

Cell lengths 5.081, 5.081, 5.398 Å; angles 90.00, 90.00, 90.00 degrees
Space group P4/mmm (No. 123)
Unique sites:
Ca1 0.000 0.000 0.000 x1
In1 0.500 0.500 0.000 x1
Tc1 0.000 0.500 0.500 x2
Pb1 0.500 0.500 0.500 x1

~~~~~

1.
First-principles (PBE-GGA) data for a relaxed structure of Ac8Os2Pd3, as listed in Alexandria.

Geometry as CIF:
```
data_Ac8Os2Pd3
_cell_length_a 15.3104
_cell_length_b 8.8820
_cell_length_c 7.3280
_cell_angle_alpha 90.00
_cell_angle_beta 109.50
_cell_angle_gamma 90.00
_space_group_name_H-M_alt 'C 1 2/m 1'
_space_group_IT_number 12
_space_group_name_Hall '-C 2y'
loop_
_atom_site_label
_atom_site_fract_x
_atom_site_fract_y
_atom_site_fract_z
_atom_site_occupancy
Ac1 0.1243 0.0000 0.2387 1
Ac2 0.1282 0.5000 0.2248 1
Ac3 0.1350 0.2399 0.7671 1
Os1 0.2455 0.5000 0.9844 1
Pd1 0.0000 0.0000 0.5000 1
Pd2 0.0000 0.2517 0.0000 1
```

Its density of states at the Fermi level is 9.01 states/eV/f.u. Its electronic total energy is -5.82 eV/atom.

***

2.
First-principles (PBE-GGA) data for a relaxed structure of Ac8Os2Pd, as listed in Alexandria.

Geometry as CIF:
```
data_Ac8Os2Pd
_cell_length_a 13.7963
_cell_length_b 7.4687
_cell_length_c 8.9478
_cell_angle_alpha 90.00
_cell_angle_beta 95.83
_cell_angle_gamma 90.00
_space_group_name_H-M_alt 'C 1 2/m 1'
_space_group_IT_number 12
_space_group_name_Hall '-C 2y'
loop_
_atom_site_label
_atom_site_fract_x
_atom_site_fract_y
_atom_site_fract_z
_atom_site_occupancy
Ac1 0.0808 0.0000 0.1928 1
Ac2 0.1493 0.2486 0.6420 1
Ac3 0.1598 0.5000 0.0344 1
Os1 0.1370 0.0000 0.8904 1
Pd1 0.0000 0.0000 0.5000 1
```

Its density of states at the Fermi level is 10.85 states/eV/f.u. Its electronic total energy is -5.46 eV/atom.

***

3.
First-principles (PBE-GGA) data for a relaxed structure of Ac6OsPd3, as listed in Alexandria.

Geometry as CIF:
```
data_Ac6OsPd3
_cell_length_a 7.3483
_cell_length_b 8.1469
_cell_length_c 13.3561
_cell_angle_alpha 90.00
_cell_angle_beta 122.27
_cell_angle_gamma 90.00
_space_group_name_H-M_alt 'P 1 21/c 1'
_space_group_IT_number 14
_space_group_name_Hall '-P 2ybc'
loop_
_atom_site_label
_atom_site_fract_x
_atom_site_fract_y
_atom_site_fract_z
_atom_site_occupancy
Ac1 0.0880 0.0553 0.2436 1
Ac2 0.2465 0.6890 0.0795 1
Ac3 0.3952 0.1755 0.0732 1
Os1 0.0000 0.0000 0.0000 1
Pd1 0.3073 0.1088 0.7544 1
Pd2 0.5000 0.0000 0.5000 1
```

Its density of states at the Fermi level is 6.32 states/eV/f.u. Its electronic total energy is -5.63 eV/atom.
Its density of states at the Fermi level is 9.01 states/eV/f.u. Its electronic total energy is -5.82 eV/atom.
Its density of states at the Fermi level is 10.85 states/eV/f.u. Its electronic total energy is -5.46 eV/atom.
Its density of states at the Fermi level is 6.32 states/eV/f.u. Its electronic total energy is -5.63 eV/atom.